_Exercise_
What is needed: return all of the listing further down character by character.

_File_
<<<
Computed, not measured: a molecular structure, C33H27F4NO4RuS3Sb, with the ωB97M-V functional and the def2-TZVPD basis.

```
74
Properties=species:S:1:pos:R:3
Ru -0.9220 0.1091 -1.5514
F 3.7168 -5.1811 1.4577
C 3.2490 -3.9916 1.0790
C 2.7911 -3.1137 2.0447
C 2.3002 -1.8826 1.6395
C 2.2787 -1.5532 0.2859
C 2.7502 -2.4550 -0.6670
C 3.2428 -3.6876 -0.2742
Sb 1.4864 0.2686 -0.3648
C 2.9130 1.1036 -1.6414
C 2.5884 1.5170 -2.9296
C 3.5573 2.0568 -3.7604
C 4.8473 2.1680 -3.2742
F 5.7858 2.6876 -4.0649
C 5.2040 1.7570 -2.0008
C 4.2263 1.2171 -1.1840
C 1.3605 1.5585 1.2726
C 0.6915 1.1768 2.4325
C 0.6101 2.0449 3.5080
C 1.1887 3.2953 3.3848
F 1.1087 4.1481 4.4080
C 1.8571 3.7046 2.2421
C 1.9476 2.8221 1.1793
H 2.8030 -3.3975 3.0889
H 1.9181 -1.2076 2.3987
H 2.7715 -2.1956 -1.7220
H 3.6319 -4.4033 -0.9853
H 1.5759 1.4175 -3.3053
H 3.3334 2.3844 -4.7659
H 6.2288 1.8618 -1.6724
H 4.5001 0.8863 -0.1883
H 0.2404 0.1982 2.5630
H 0.1236 1.7221 4.4182
H 2.3036 4.6885 2.2049
H 2.4832 3.1274 0.2869
F -5.8228 2.0841 0.3923
C -4.5766 2.1375 -0.0575
C -3.5343 1.9081 0.8276
C -2.2460 1.9654 0.3364
C -1.9965 2.2186 -1.0413
C -0.6217 2.2330 -1.5016
C -3.1006 2.4619 -1.8974
C -4.3805 2.4317 -1.4073
H -3.7449 1.7185 1.8718
H -1.4050 1.8385 1.0103
H 0.1020 2.5802 -0.7734
H -0.4344 2.5938 -2.5072
H -2.9221 2.6789 -2.9428
H -5.2402 2.6332 -2.0322
N -0.8285 -2.1320 -1.5556
C -1.0586 -2.3679 -0.1528
C -1.8379 -1.4078 0.5004
C -1.9066 -1.3910 1.8878
C -1.1916 -2.3432 2.6061
C -0.5370 -3.3653 1.9416
C -0.4482 -3.3822 0.5580
S -0.9114 -2.0762 4.3738
O -2.2173 -1.8197 4.9236
O -0.0548 -0.8900 4.2833
O -0.2200 -3.2663 4.8016
H 0.0300 -2.5818 -1.8614
H -1.5890 -2.4844 -2.1332
H -2.4179 -0.6698 -0.0752
H -2.4594 -0.6265 2.4205
H -0.0338 -4.1123 2.5441
H 0.1384 -4.1392 0.0505
C -4.8156 -1.3823 -1.8212
O -3.4903 -0.9727 -2.2467
C -3.3663 -0.4267 -3.4620
S -4.5229 -0.1184 -4.5353
S -1.6742 0.0638 -3.7271
H -5.2012 -2.1333 -2.5063
H -5.4775 -0.5190 -1.8100
H -4.6780 -1.7921 -0.8250
```

Results
- Kohn-Sham gap (spin up / spin down): 6.283 / 4.758 eV
- Charge: +1
- LUMO (spin up / spin down): -4.60 / -6.12 eV
- Multiplicity: 5

----------

w.
Formula: C5H8O2S
Source: the Open Molecules 2025 dataset
Level of theory: ωB97M-V with the def2-TZVPD basis set

Each line ends with the natural charge from an NBO analysis.
Element x y z (Å)
S  -1.93  -0.04  0.04  0.171
O  0.88  1.08  0.29  -0.555
O  1.47  -1.25  -0.37  -0.755
C  -0.59  -0.77  0.89  -0.438
C  0.04  -1.31  -0.39  0.088
C  -0.57  -0.05  -1.20  -0.360
C  0.18  1.34  -0.86  -0.067
C  0.24  0.37  1.44  -0.090
H  -0.52  2.16  -0.59  0.183
H  1.23  0.04  1.82  0.207
H  1.66  -0.26  0.06  0.492
H  -0.30  1.08  2.09  0.216
H  -1.04  -0.19  -2.31  0.237
H  0.75  1.65  -1.65  0.193
H  -1.09  -1.59  1.59  0.254
H  -0.42  -2.25  -0.85  0.223

Computed properties:
gap between HOMO and LUMO: 9.356 eV
highest occupied orbital energy: -0.3170 Ha
2S+1: 1
total charge: 0

***

x.
Formula: C5H8O2S
Source: the Open Molecules 2025 dataset
Level of theory: ωB97M-V with the def2-TZVPD basis set

Each line ends with the natural charge from an NBO analysis.
Element x y z (Å)
S  -1.28  1.15  -1.53  -0.007
O  0.33  0.27  2.16  -0.686
O  2.30  1.37  0.84  -0.522
C  1.44  0.97  0.14  0.412
C  -1.09  0.47  0.10  -0.380
C  0.09  -1.73  -0.95  -0.623
C  -0.49  -0.94  0.21  -0.213
C  0.29  0.24  0.77  0.107
H  -0.78  -1.91  -1.65  0.220
H  0.77  1.10  2.42  0.486
H  -1.12  -1.52  0.94  0.248
H  1.41  1.12  -0.97  0.137
H  0.85  -1.10  -1.55  0.214
H  -1.84  0.74  0.85  0.244
H  0.60  -2.66  -0.63  0.235
H  -1.47  2.41  -1.14  0.128

Computed properties:
structure (SMILES): C[C@@H]1[C@H](S)[C@]1(O)C=O
gap between HOMO and LUMO: 9.468 eV
highest occupied orbital energy: -0.3252 Ha
2S+1: 1
total charge: 0

***

y.
Formula: C5H8O2S
Source: the Open Molecules 2025 dataset
Level of theory: ωB97M-V with the def2-TZVPD basis set

Each line ends with the natural charge from an NBO analysis.
Element x y z (Å)
S  -1.75  -1.17  -0.53  -0.102
>>>

_Written answer_
Computed, not measured: a molecular structure, C33H27F4NO4RuS3Sb, with the ωB97M-V functional and the def2-TZVPD basis.

```
74
Properties=species:S:1:pos:R:3
Ru -0.9220 0.1091 -1.5514
F 3.7168 -5.1811 1.4577
C 3.2490 -3.9916 1.0790
C 2.7911 -3.1137 2.0447
C 2.3002 -1.8826 1.6395
C 2.2787 -1.5532 0.2859
C 2.7502 -2.4550 -0.6670
C 3.2428 -3.6876 -0.2742
Sb 1.4864 0.2686 -0.3648
C 2.9130 1.1036 -1.6414
C 2.5884 1.5170 -2.9296
C 3.5573 2.0568 -3.7604
C 4.8473 2.1680 -3.2742
F 5.7858 2.6876 -4.0649
C 5.2040 1.7570 -2.0008
C 4.2263 1.2171 -1.1840
C 1.3605 1.5585 1.2726
C 0.6915 1.1768 2.4325
C 0.6101 2.0449 3.5080
C 1.1887 3.2953 3.3848
F 1.1087 4.1481 4.4080
C 1.8571 3.7046 2.2421
C 1.9476 2.8221 1.1793
H 2.8030 -3.3975 3.0889
H 1.9181 -1.2076 2.3987
H 2.7715 -2.1956 -1.7220
H 3.6319 -4.4033 -0.9853
H 1.5759 1.4175 -3.3053
H 3.3334 2.3844 -4.7659
H 6.2288 1.8618 -1.6724
H 4.5001 0.8863 -0.1883
H 0.2404 0.1982 2.5630
H 0.1236 1.7221 4.4182
H 2.3036 4.6885 2.2049
H 2.4832 3.1274 0.2869
F -5.8228 2.0841 0.3923
C -4.5766 2.1375 -0.0575
C -3.5343 1.9081 0.8276
C -2.2460 1.9654 0.3364
C -1.9965 2.2186 -1.0413
C -0.6217 2.2330 -1.5016
C -3.1006 2.4619 -1.8974
C -4.3805 2.4317 -1.4073
H -3.7449 1.7185 1.8718
H -1.4050 1.8385 1.0103
H 0.1020 2.5802 -0.7734
H -0.4344 2.5938 -2.5072
H -2.9221 2.6789 -2.9428
H -5.2402 2.6332 -2.0322
N -0.8285 -2.1320 -1.5556
C -1.0586 -2.3679 -0.1528
C -1.8379 -1.4078 0.5004
C -1.9066 -1.3910 1.8878
C -1.1916 -2.3432 2.6061
C -0.5370 -3.3653 1.9416
C -0.4482 -3.3822 0.5580
S -0.9114 -2.0762 4.3738
O -2.2173 -1.8197 4.9236
O -0.0548 -0.8900 4.2833
O -0.2200 -3.2663 4.8016
H 0.0300 -2.5818 -1.8614
H -1.5890 -2.4844 -2.1332
H -2.4179 -0.6698 -0.0752
H -2.4594 -0.6265 2.4205
H -0.0338 -4.1123 2.5441
H 0.1384 -4.1392 0.0505
C -4.8156 -1.3823 -1.8212
O -3.4903 -0.9727 -2.2467
C -3.3663 -0.4267 -3.4620
S -4.5229 -0.1184 -4.5353
S -1.6742 0.0638 -3.7271
H -5.2012 -2.1333 -2.5063
H -5.4775 -0.5190 -1.8100
H -4.6780 -1.7921 -0.8250
```

Results
- Kohn-Sham gap (spin up / spin down): 6.283 / 4.758 eV
- Charge: +1
- LUMO (spin up / spin down): -4.60 / -6.12 eV
- Multiplicity: 5

----------

w.
Formula: C5H8O2S
Source: the Open Molecules 2025 dataset
Level of theory: ωB97M-V with the def2-TZVPD basis set

Each line ends with the natural charge from an NBO analysis.
Element x y z (Å)
S  -1.93  -0.04  0.04  0.171
O  0.88  1.08  0.29  -0.555
O  1.47  -1.25  -0.37  -0.755
C  -0.59  -0.77  0.89  -0.438
C  0.04  -1.31  -0.39  0.088
C  -0.57  -0.05  -1.20  -0.360
C  0.18  1.34  -0.86  -0.067
C  0.24  0.37  1.44  -0.090
H  -0.52  2.16  -0.59  0.183
H  1.23  0.04  1.82  0.207
H  1.66  -0.26  0.06  0.492
H  -0.30  1.08  2.09  0.216
H  -1.04  -0.19  -2.31  0.237
H  0.75  1.65  -1.65  0.193
H  -1.09  -1.59  1.59  0.254
H  -0.42  -2.25  -0.85  0.223

Computed properties:
gap between HOMO and LUMO: 9.356 eV
highest occupied orbital energy: -0.3170 Ha
2S+1: 1
total charge: 0

***

x.
Formula: C5H8O2S
Source: the Open Molecules 2025 dataset
Level of theory: ωB97M-V with the def2-TZVPD basis set

Each line ends with the natural charge from an NBO analysis.
Element x y z (Å)
S  -1.28  1.15  -1.53  -0.007
O  0.33  0.27  2.16  -0.686
O  2.30  1.37  0.84  -0.522
C  1.44  0.97  0.14  0.412
C  -1.09  0.47  0.10  -0.380
C  0.09  -1.73  -0.95  -0.623
C  -0.49  -0.94  0.21  -0.213
C  0.29  0.24  0.77  0.107
H  -0.78  -1.91  -1.65  0.220
H  0.77  1.10  2.42  0.486
H  -1.12  -1.52  0.94  0.248
H  1.41  1.12  -0.97  0.137
H  0.85  -1.10  -1.55  0.214
H  -1.84  0.74  0.85  0.244
H  0.60  -2.66  -0.63  0.235
H  -1.47  2.41  -1.14  0.128

Computed properties:
structure (SMILES): C[C@@H]1[C@H](S)[C@]1(O)C=O
gap between HOMO and LUMO: 9.468 eV
highest occupied orbital energy: -0.3252 Ha
2S+1: 1
total charge: 0

***

y.
Formula: C5H8O2S
Source: the Open Molecules 2025 dataset
Level of theory: ωB97M-V with the def2-TZVPD basis set

Each line ends with the natural charge from an NBO analysis.
Element x y z (Å)
S  -1.75  -1.17  -0.53  -0.102